**Request:**
Work out how many lines underneath have the word "Below" in them; a number is enough.

**Data:**
┌──
No. 1
Below is a geometry-optimized MgV2Bi4O11 structure, with properties calculated at the PBE+U level.

Output
Energy above the lowest structure with this stoichiometry in kJ/mol of atoms: 1.5
DFT total energy in Ry/atom: -0.4664

```
data_MgV2Bi4O11
_cell_length_a 6.265
_cell_length_b 6.597
_cell_length_c 8.396
_cell_angle_alpha 67.27
_cell_angle_beta 83.25
_cell_angle_gamma 71.65
_symmetry_space_group_name_H-M 'P 1'
_symmetry_Int_Tables_number 1
_symmetry_space_group_name_Hall 'P 1'
loop_
_atom_site_label
_atom_site_fract_x
_atom_site_fract_y
_atom_site_fract_z
_atom_site_occupancy
Mg1 0.000 0.000 0.000 1
V1 0.470 0.237 0.378 1
V2 0.976 0.746 0.353 1
Bi1 0.003 0.491 0.028 1
Bi2 0.486 0.654 0.729 1
Bi3 0.499 0.002 0.009 1
Bi4 0.986 0.246 0.618 1
O1 0.092 0.969 0.238 1
O2 0.143 0.258 0.862 1
O3 0.165 0.757 0.895 1
O4 0.195 0.460 0.396 1
O5 0.365 0.019 0.568 1
O6 0.461 0.219 0.174 1
O7 0.683 0.703 0.892 1
O8 0.716 0.262 0.434 1
O9 0.718 0.194 0.857 1
O10 0.816 0.639 0.550 1
O11 0.832 0.768 0.161 1
```

=====

No. 2
Below is a geometry-optimized MgV2Bi2O10 structure, with properties calculated at the PBE+U level.

Output
DFT total energy in Ry/atom: -0.4741

```
data_MgV2Bi2O10
_cell_length_a 5.448
_cell_length_b 11.116
_cell_length_c 8.271
_cell_angle_alpha 90.00
_cell_angle_beta 108.36
_cell_angle_gamma 90.00
_symmetry_space_group_name_H-M 'P 1 21 1'
_symmetry_Int_Tables_number 4
_symmetry_space_group_name_Hall 'P 2yb'
loop_
_atom_site_label
_atom_site_fract_x
_atom_site_fract_y
_atom_site_fract_z
_atom_site_occupancy
Mg1 0.119 0.000 0.077 1
V1 0.045 0.770 0.718 1
V2 0.450 0.061 0.795 1
Bi1 0.138 0.505 0.586 1
Bi2 0.382 0.320 0.916 1
O1 0.016 0.390 0.754 1
O2 0.083 0.141 0.228 1
O3 0.195 0.361 0.418 1
O4 0.211 0.853 0.909 1
O5 0.243 0.110 0.911 1
O6 0.253 0.711 0.617 1
O7 0.274 0.999 0.599 1
O8 0.285 0.471 0.081 1
O9 0.429 0.697 0.238 1
O10 0.497 0.960 0.221 1
```

=====

No. 3
Below is a geometry-optimized MgV2Bi4O11 structure, with properties calculated at the PBE+U level.

Output
Energy above the lowest structure with this stoichiometry in kJ/mol of atoms: 0.0
DFT total energy in Ry/atom: -0.4676

```
data_MgV2Bi4O11
_cell_length_a 5.811
_cell_length_b 6.189
_cell_length_c 8.173
_cell_angle_alpha 98.57
_cell_angle_beta 104.15
_cell_angle_gamma 93.63
_symmetry_space_group_name_H-M 'P 1'
_symmetry_Int_Tables_number 1
_symmetry_space_group_name_Hall 'P 1'
loop_
_atom_site_label
_atom_site_fract_x
_atom_site_fract_y
_atom_site_fract_z
_atom_site_occupancy
Mg1 0.000 0.000 0.000 1
V1 0.262 0.665 0.794 1
V2 0.722 0.263 0.776 1
Bi1 0.001 0.559 0.210 1
Bi2 0.101 0.102 0.512 1
Bi3 0.524 0.146 0.264 1
Bi4 0.645 0.658 0.532 1
O1 0.150 0.002 0.256 1
O2 0.261 0.773 0.602 1
O3 0.299 0.882 0.962 1
O4 0.367 0.486 0.281 1
O5 0.509 0.519 0.826 1
O6 0.519 0.221 0.539 1
O7 0.765 0.871 0.370 1
O8 0.834 0.264 0.027 1
O9 0.844 0.985 0.749 1
O10 0.880 0.402 0.399 1
O11 0.995 0.497 0.774 1
```

=====

No. 4
Below is a geometry-optimized MgVBiO5 structure, with properties calculated at the PBE+U level.

Output
Energy above the lowest structure with this stoichiometry in kJ/mol of atoms: 5.6
DFT total energy in Ry/atom: -0.4867

```
data_MgVBiO5
_cell_length_a 5.279
_cell_length_b 15.604
_cell_length_c 10.711
_cell_angle_alpha 90.00
_cell_angle_beta 90.00
_cell_angle_gamma 90.00
_symmetry_space_group_name_H-M 'P b c a'
_symmetry_Int_Tables_number 61
_symmetry_space_group_name_Hall '-P 2ac 2ab'
loop_
_atom_site_label
_atom_site_fract_x
_atom_site_fract_y
_atom_site_fract_z
_atom_site_occupancy
Mg1 0.006 0.046 0.137 1
V1 0.015 0.592 0.899 1
Bi1 0.022 0.226 0.354 1
O1 0.073 0.693 0.828 1
O2 0.138 0.020 0.698 1
O3 0.188 0.118 0.475 1
O4 0.197 0.056 0.958 1
O5 0.205 0.149 0.216 1
```

=====

No. 5
Below is a geometry-optimized MgBiWO5 structure, with properties calculated at the PBE+U level.

Output
Energy above the lowest structure with this stoichiometry in kJ/mol of atoms: 9.6
DFT total energy in Ry/atom: -0.4740

```
data_MgBiWO5
└──

**Here it is:**
5